I laugh, the sound melodious and practiced. “Oh, you know, the usual. Tales of daring escapades and narrow escapes. Though I’m sure they pale in comparison to the real adventures you’ve all had.”
As I speak, I catch sight of my husband watching me from across the room. I resist the urge to meet his gaze, lest I get totally distracted. Instead, I focus on the couple before me while reading the minute shifts in their expressions.
“You’re quite the charmer, aren’t you?” The mansays with a chuckle, his eyes sharp despite his jovial tone. “Kiril’s a lucky man.”
“I like to think we’re both fortunate,” I say smoothly, lifting my champagne flute in a small salute. It’s the same one I’ve been carrying all night, but no one seems to notice I don’t actually drink from it. “If you’ll excuse me, I see an old friend I simply must greet.”
I glide away, my heels silent on the plush carpet, heart thudding beneath my calm exterior. Each conversation is a delicate balancing act, revealing enough to seem open while guarding the truth of my past, and my inexperience in this world of shadows and power. As I approach another group, I take a steadying breath, ready to don yet another mask in this masquerade.
During a lull in the conversation, I notice the same waiter from earlier, still looking uneasy. He fumbles with a tray of drinks, nearly spilling them. Something about his behavior nags at me, but I push the thought aside as Oksana approaches me again. He can’t be here to cause trouble. Someone would’ve done something by now.
“So, Felicity,” Oksana says, sipping her martini. “How are you finding our little gathering?”
I smile. “It’s certainly eye-opening. I never expected to be rubbing elbows with such influential people.”
Oksana chuckles. “We’re not so different from anyone else, my dear. We just play for higher stakes.”
“Speaking of stakes,” I say, leaning in conspiratorially, “I hear the buy-in for tonight’s game is quite substantial.”
“Indeed it is.” Oksana cocks a brow. “Are you planning to join us at the table?”
I glance at Kiril, who’s deep in conversation with another man. “I’m not sure. It might be best if I observe this time.”
“Nonsense. You must play. I insist.”
As we continue chatting, I’m nervous but a little excited too. I’m about to sit down at a poker table with some of the most dangerous people in the world, and I’m determined to hold my own.
The nervous waiter passes by again, this time with a tray of hors d’oeuvres. His hand shakes slightly as he offers the tray to us. I take a canapé, studying him closely. There’s sweat beading on his forehead, and his gaze keeps darting toward the exit.
“Is everything all right?” I ask him softly.
He startles, nearly dropping the tray. “Yes, ma’am. Everything’s fine.”
_Inserted here: calculated crystals_
____________
Computed, not measured: crystalline Tl2GaSn2 at its relaxed geometry at the PBEsol level of DFT.

Summary:
The value obtained for the total magnetization is 0.0 μB/f.u. As for the formation enthalpy at 0 K: 81 meV per atom.

Cell lengths 5.169, 7.261, 7.261 Å; angles 90.00, 90.00, 90.00 degrees
Fractional coordinates of all 10 atoms:
Ga 0.000 0.000 0.000
Tl 0.500 0.671 0.829
Tl 0.500 0.171 0.671
Sn 0.000 0.357 0.857
Ga 0.000 0.500 0.500
Tl 0.500 0.329 0.171
Sn 0.000 0.857 0.643
Tl 0.500 0.829 0.329
Sn 0.000 0.143 0.357
Sn 0.000 0.643 0.143

----------

Entry 1:
First-principles (PBE-GGA) data for an optimized crystal structure of SrZn3Br, as listed in Alexandria.

## Properties
Energy relative to the elements, uncorrected in meV per atom: 294
E in eV/atom: -1.1416
ΔE to the lowest computed polymorph in meV per atom: 0.0

```
data_SrZn3Br
_chemical_formula_sum 'Sr1 Zn3 Br1'
_space_group_name_H-M_alt 'P m -3 m'
_space_group_IT_number 221
_space_group_name_Hall '-P 4 2 3'
_cell_length_a 5.498
_cell_length_b 5.498
_cell_length_c 5.498
_cell_angle_alpha 90.00
_cell_angle_beta 90.00
_cell_angle_gamma 90.00
loop_
_atom_site_label
_atom_site_type_symbol
_atom_site_fract_x
_atom_site_fract_y
_atom_site_fract_z
_atom_site_occupancy
Sr1 Sr 0.000 0.000 0.000 1
Zn1 Zn 0.000 0.500 0.500 1
Br1 Br 0.500 0.500 0.500 1
```

***

Entry 2:
First-principles (PBE-GGA) data for an optimized crystal structure of NbPb3Se, as listed in Alexandria.

## Properties
Energy relative to the elements, uncorrected in meV per atom: 1110
E in eV/atom: -3.8263
ΔE to the lowest computed polymorph in meV per atom: 585.0

```
data_NbPb3Se
_chemical_formula_sum 'Nb1 Pb3 Se1'
_space_group_name_H-M_alt 'P m -3 m'
_space_group_IT_number 221
_space_group_name_Hall '-P 4 2 3'
_cell_length_a 5.520
_cell_length_b 5.520
_cell_length_c 5.520
_cell_angle_alpha 90.00
_cell_angle_beta 90.00
_cell_angle_gamma 90.00
loop_
_atom_site_label
_atom_site_type_symbol
_atom_site_fract_x
_atom_site_fract_y
_atom_site_fract_z
_atom_site_occupancy
Nb1 Nb 0.000 0.000 0.000 1
Pb1 Pb 0.000 0.500 0.500 1
Se1 Se 0.500 0.500 0.500 1
```

***

Entry 3:
First-principles (PBE-GGA) data for an optimized crystal structure of PmNdYHg, as listed in Alexandria.

## Properties
E in eV/atom: -4.1175
ΔE to the lowest computed polymorph in meV per atom: 191.1
Formation energy in eV/atom: -0.046

```
data_PmNdYHg
_chemical_formula_sum 'Pm4 Nd4 Y4 Hg4'
_space_group_name_H-M_alt 'F -4 3 m'
_space_group_IT_number 216
_space_group_name_Hall 'F -4 2 3'
_cell_length_a 7.789
_cell_length_b 7.789
_cell_length_c 7.789
_cell_angle_alpha 90.00
_cell_angle_beta 90.00
_cell_angle_gamma 90.00
loop_
_atom_site_label
_atom_site_type_symbol
_atom_site_fract_x
_atom_site_fract_y
_atom_site_fract_z
_atom_site_occupancy
Pm1 Pm 0.000 0.000 0.000 1
Nd1 Nd 0.250 0.250 0.250 1
Y1 Y 0.250 0.250 0.750 1
Hg1 Hg 0.000 0.000 0.500 1
```

***

| no. | volume (A^3/atom) |
| --- | --- |
| 1 | 33.24 |
| 2 | 33.64 |
| 3 | 29.54 |

----------

Run i
____________
As he hurries away, I turn back to Oksana, who’s watching me with interest.
“You’re observant,” she says. “A valuable trait in our world.”
I shrug, trying to appear nonchalant. “I’m still learning. There’s so much to take in.”
“You’re doing admirably.” She links her arm through mine. “Shall we join the others at the table? I’m eager to see how you fare in a real game.”
As we make our way to the poker table, I catch Kiril’s eye. He gives me a subtle nod of encouragement, and I inhale quickly, steeling myself for what’s to come. This is my chance to prove myself in this new world, and I won’t let Kiril down.
The cards are dealt, and the game begins. I study my hand with excitement. This isn’t just about money, it’s also about respect and acceptance into this dangerous yet intoxicating world. I have to prove myself.
I glance around the table, taking in the faces of the other players. Oksana sits to my left, her expression unreadable. Dmitri is across from me, a cigar clenched between his teeth. Kiril is at the far end, gaze meeting mine briefly before returning to his cards.
The first hand goes smoothly. I play conservatively, folding early when I realize my cards aren’t strong enough. I watch the others, noting their tells and betting patterns.
The second hand is where things get interesting. I’m dealt a pair of queens. As the betting progresses, I stay in, raising when appropriate. By the end, it’s down to me and Dmitri. I call his bet, and we reveal our cards. My queens beat his pair of tens.
“Well played, Mrs. Pimaslov,” says Dmitri, nodding approvingly as I rake in the chips.
Kiril smiles at me as he dips his head slightly in acknowledgment of my win. I allow myself a moment of pride before focusing on the next hand. As the dealer shuffles for the third game, I notice the nervous waiter from earlier approaching our table. He’s carrying a tray of drinks, but his movements are stiff and unnatural. My dancer’s instincts kick in, and I watch him closely as he sets a glass in front of Oksana, who is on the opposite side of Kirl. It’s unnecessarily awkward, and either he’s a new waiter, or he’s up to something.
Time seems to slow as I see the waiter’s hand move, quick and subtle, as he crosses over Kiril’s drink. Something drops into the drink, a tiny white tablet that dissolves almost instantly.
Without thinking, I stand up and stretch as far as I can, knocking over Kiril’s glass. The liquid spills across the table, seeping into the green felt. Several of the players gasp as I stare at the waiter, who pales.